-- Exercise --
Please echo only the lines further below with the word "Br1" in them.
-- Input --
=====
A relaxed structure of Ti2Mn2Be. Source: the Alexandria database, functional GGA-PBE.

Properties
The density of states at the Fermi level comes out at 0.950 states/eV/atom. Its formation energy is -0.014 eV/atom.

Lattice parameters (Å, degrees): 5.8476 5.8476 3.8133 90.00 90.00 90.00
Space group P4/mbm (No. 127)
Unique sites:
Ti (0.1823, 0.3177, 0.0000)
Mn (0.1278, 0.6278, 0.5000)
Be (0.0000, 0.0000, 0.5000)

=====

Crystalline KWBr2 at its relaxed geometry. Source: Alexandria, functional GGA-PBEsol.

Excess energy over the best structure of this formula in the dataset ... 0.410 eV per formula unit
ΔE_f (raw) ... 533 meV/atom
Calculated volume ... 22.00 Å³/atom
Calculated density ... 7.22 Mg/m³
DFT total energy ... -16.551 eV per formula unit
Density of states at the Fermi level ... 3.57 states/eV per cell
Magnetization ... 0.564 μB/atom

```
data_KWBr2
_cell_length_a 3.3538
_cell_length_b 3.3538
_cell_length_c 7.8251
_cell_angle_alpha 90.00
_cell_angle_beta 90.00
_cell_angle_gamma 90.00
_symmetry_space_group_name_H-M 'P 1'
_symmetry_Int_Tables_number 1
loop_
_symmetry_equiv_pos_as_xyz
'x,y,z'
loop_
_atom_site_label
_atom_site_type_symbol
_atom_site_fract_x
_atom_site_fract_y
_atom_site_fract_z
_atom_site_occupancy
Br1 Br 0.0000 0.0000 0.2946 1
Br2 Br 0.0000 0.0000 0.7054 1
K1 K 0.5000 0.5000 0.0000 1
W1 W 0.5000 0.5000 0.5000 1
```
=====
-- Worked solution --
Br1 Br 0.0000 0.0000 0.2946 1